## Request
Work out how many lines below have the word "in" in them; a number is enough.

## Source
'''
# 1
VASP calculation (PBE) on a geometry-optimized K3ReC4N4O2 structure.

Properties
* E above lowest polymorph: 258 meV per atom

The structure in extended XYZ format:
```
14
Lattice="-5.245 -0.979 4.515 -1.793 -4.553 -6.954 6.358 -2.932 2.339" Properties=species:S:1:pos:R:3 pbc="T T T"
K -0.340 -4.232 -0.050
N -1.933 -3.660 -4.808
C 0.285 -6.954 -1.211
C -0.965 -1.510 1.111
N 1.253 -4.804 4.707
C -0.254 -6.640 1.541
C -0.425 -1.825 -1.641
O 2.985 -6.736 -5.044
O -3.665 -1.729 4.943
N -1.395 -2.374 1.791
Re 0.000 0.000 0.000
N 0.715 -6.090 -1.891
K -3.081 -5.316 -2.806
K 2.401 -3.148 2.705
```

# 2
VASP calculation (PBE) on a geometry-optimized KReC3SN3O structure.

The structure in extended XYZ format:
```
80
Lattice="-7.335 7.335 6.892 7.335 -7.335 6.892 7.335 7.335 -6.892" Properties=species:S:1:pos:R:3 pbc="T T T"
C 4.097 -4.083 6.302
N 2.760 3.021 6.444
C 0.416 0.429 2.856
C 6.124 2.181 2.815
K 5.634 3.610 -2.510
C 5.281 0.498 4.786
K 7.278 5.368 0.936
N 7.844 3.100 -0.589
C 2.054 -0.498 4.786
O 4.686 2.033 8.688
C 8.546 5.154 -4.077
O 8.969 1.018 5.242
K 0.057 1.967 5.956
N 5.526 7.864 0.957
N -0.646 0.908 2.998
N 6.768 3.159 2.857
C 3.169 1.614 -1.340
Re 5.009 7.749 4.186
K -1.701 3.610 2.510
N -4.197 9.193 4.404
C 5.848 4.879 6.261
S 12.803 0.549 -0.375
S 4.216 -1.800 3.071
N 6.768 -4.176 4.035
S 4.216 5.535 3.821
N 5.526 0.529 5.935
N 7.981 -0.908 2.998
Re 10.589 1.342 -0.740
O 4.686 9.368 -1.796
C 10.504 1.614 1.340
N 0.509 3.100 0.589
S 5.468 0.549 0.375
O 2.649 -2.033 8.688
N -3.138 5.476 4.404
N 11.531 -1.858 2.489
N 4.575 -3.021 6.444
S -5.468 6.786 7.267
K 9.035 3.725 4.382
K 7.278 -1.967 5.956
C 3.238 11.418 0.590
S 3.119 9.135 3.821
O 5.701 6.317 -1.650
C -3.169 5.721 5.552
Re 2.326 6.921 4.186
N -0.509 4.235 7.481
C -1.211 2.181 10.969
O 2.649 5.302 -1.796
N -0.646 8.243 3.894
C -1.486 4.879 7.523
C 8.821 2.456 -0.631
N 10.473 1.858 2.489
N 7.981 6.427 3.894
C 2.054 6.837 2.106
O -1.634 6.317 1.650
Re -3.254 5.993 7.632
S 1.867 6.786 6.517
N 2.760 10.356 0.448
K 0.057 9.302 0.936
N 1.809 -0.529 5.935
C 1.211 5.154 4.077
N 6.826 4.235 6.303
C 1.486 2.456 0.631
O 1.634 1.018 8.543
N 0.567 4.176 4.035
C 4.097 3.252 0.590
K 1.701 3.725 9.402
C 6.919 -0.429 2.856
Re 4.081 5.993 6.152
C 6.919 6.905 4.036
N 0.567 11.511 2.857
N 4.575 4.314 0.448
C 4.166 5.721 8.232
C 3.238 4.083 6.302
Re 2.326 -0.414 2.706
C 0.416 7.764 4.036
C 5.281 7.833 2.106
Re 3.254 1.342 0.740
N 1.809 6.806 0.957
Re 5.009 0.414 2.706
S 3.119 1.800 3.071
```

# 3
VASP calculation (PBE) on a geometry-optimized K2UC2S2NO8 structure.

The structure in extended XYZ format:
```
64
Lattice="0.000 -7.235 0.000 -11.676 0.000 0.676 0.015 0.000 -14.145" Properties=species:S:1:pos:R:3 pbc="T T T"
O -4.595 -1.220 -8.872
O -7.323 -6.396 -13.530
C -9.891 -3.892 -1.479
O -6.488 -1.817 -0.400
O -7.331 -4.456 -6.458
O -5.556 -0.157 -1.962
O -10.125 -4.390 -6.121
O -5.173 -5.418 -13.069
O -3.097 -5.507 -0.956
K -6.316 -4.742 -1.731
O -0.540 -5.742 -13.427
S -5.225 -2.339 -8.155
U -8.673 -2.611 -7.103
O -2.852 -6.941 -11.779
U -2.980 -6.229 -13.438
C -0.283 -0.650 -0.283
K -2.009 -3.099 -1.851
O -1.536 -2.845 -7.348
O -11.113 -2.124 -7.114
K -5.345 -2.493 -11.738
O -11.121 -1.493 -0.042
O -0.548 -5.111 -6.355
C -11.378 -6.585 -13.186
S -11.007 -6.079 -9.284
S -0.654 -1.156 -4.185
C -11.386 -4.267 -6.114
N -2.605 -6.849 -5.476
O -1.544 -0.773 -0.275
O -4.330 -2.779 -7.011
O -7.066 -6.015 -4.596
C -1.770 -3.343 -11.990
S -5.232 -1.279 -1.082
N -2.598 -4.003 -12.548
C -0.275 -2.968 -7.355
N -9.063 -3.232 -0.921
O -3.089 -5.346 -8.029
O -8.801 -3.324 -8.762
O -8.572 -1.889 -5.440
O -4.338 -0.839 0.061
K -5.353 -1.124 -4.666
U -8.681 -1.006 -0.031
C -1.778 -0.275 -4.918
S -0.646 -2.462 -11.257
O -5.181 -5.434 -5.996
S -6.436 -4.896 -5.314
S -11.015 -4.773 -2.211
S -6.428 -5.956 -12.386
K -9.659 -6.717 -4.545
N -9.055 -0.386 -7.993
O -5.548 -3.461 -9.034
O -6.105 -7.078 -11.507
O -8.809 -0.294 -1.690
O -10.117 -6.462 -13.193
O -6.480 -1.801 -7.472
'''

## Response
3